**Activity:**
Search the rows further down for the word "stable" and transcribe each line that has it.

**Given:**
Entry 1:
Below is a geometry-optimized Cd5Ni structure, with properties calculated at the PBE-GGA level.

```
Cd5Ni
1.0
6.9822 -7.1498 0.0000
6.9822 7.1498 0.0000
0.0000 0.0000 10.0119
Cd Ni
40 8
direct
0.8627 0.4966 0.4991
0.5034 0.1373 0.4991
0.5000 0.5000 0.8602
0.1373 0.5034 0.4991
0.4966 0.8627 0.4991
0.5000 0.5000 0.1397
0.3024 0.6976 0.0070
0.0543 0.7251 0.2511
0.2749 0.9457 0.2511
0.6976 0.3024 0.0070
0.9457 0.2749 0.2511
0.7251 0.0543 0.2511
0.7985 0.7985 0.9493
0.0053 0.7482 0.7396
0.7482 0.0053 0.7396
0.2015 0.2015 0.9493
0.9947 0.2518 0.7396
0.2518 0.9947 0.7396
0.6435 0.3565 0.6527
0.3565 0.6435 0.6527
0.3458 0.3458 0.3597
0.6542 0.6542 0.3597
0.8296 0.1704 0.5096
0.4902 0.1619 0.8305
0.8381 0.5098 0.8305
0.1704 0.8296 0.5096
0.5098 0.8381 0.8305
0.1619 0.4902 0.8305
0.1340 0.1340 0.4587
0.4566 0.1692 0.1497
0.1692 0.4566 0.1497
0.8660 0.8660 0.4587
0.5434 0.8308 0.1497
0.8308 0.5434 0.1497
0.3439 0.6561 0.3334
0.6561 0.3439 0.3334
0.6776 0.6776 0.6560
0.3224 0.3224 0.6560
0.9001 0.0999 0.9977
0.0999 0.9001 0.9977
0.1854 0.1854 0.2045
0.8146 0.8146 0.2045
0.3609 0.9764 0.9924
0.0236 0.6391 0.9924
0.0000 0.0000 0.2460
0.6391 0.0236 0.9924
0.9764 0.3609 0.9924
0.0000 0.0000 0.6471
```

crystal system = orthorhombic
calculated total energy = -1.6861 eV per atom
E_form = 0.046 eV per atom
space group = Cmm2 (35)

Entry 2:
Below is a geometry-optimized P3W structure, with properties calculated at the PBE-GGA level.

```
P3W
1.0
2.4848 -1.6928 3.0625
0.0419 1.7279 3.9283
-1.7811 -2.1044 3.2891
P W
3 1
direct
0.7500 0.7500 0.7500
0.2500 0.2500 0.2500
0.5000 0.5000 0.5000
0.0000 0.0000 0.0000
```

crystal system = cubic
calculated total energy = -6.8069 eV per atom
E_form = 0.493 eV per atom
space group = Fm-3m (225)

Entry 3:
Below is a geometry-optimized LiCuPO4 structure, with properties calculated at the PBE-GGA level.

```
LiCuPO4
1.0
5.2735 -9.1340 0.0000
5.2735 9.1340 0.0000
0.0000 0.0000 12.3557
Li Cu P O
12 12 12 48
direct
0.0000 0.5000 0.0093
0.0000 0.5000 0.6573
0.0000 0.5000 0.3333
0.0000 0.0000 0.1667
0.0000 0.0000 0.5000
0.0000 0.0000 0.8333
0.5000 0.5000 0.3427
0.5000 0.5000 0.6667
0.5000 0.5000 0.9907
0.5000 0.0000 0.3240
0.5000 0.0000 0.0000
0.5000 0.0000 0.6760
0.0000 0.7437 0.8333
0.0000 0.2563 0.8333
0.2482 0.7518 0.1667
0.2482 0.4964 0.5000
0.5036 0.7518 0.8333
0.2563 0.2563 0.1667
0.2563 0.0000 0.5000
0.7437 0.7437 0.1667
0.4964 0.2482 0.8333
0.7518 0.5036 0.5000
0.7518 0.2482 0.1667
0.7437 0.0000 0.5000
0.0000 0.7564 0.3333
0.2483 0.7517 0.6667
0.0000 0.2436 0.3333
0.2483 0.4966 0.0000
0.2436 0.2436 0.6667
0.5034 0.7517 0.3333
0.2436 0.0000 0.0000
0.4966 0.2483 0.3333
0.7564 0.7564 0.6667
0.7517 0.5034 0.0000
0.7517 0.2483 0.6667
0.7564 0.0000 0.0000
0.0723 0.8808 0.4182
0.1192 0.9277 0.9152
0.1023 0.6984 0.7277
0.1075 0.7151 0.2792
0.2849 0.8925 0.0542
0.3016 0.8977 0.6056
0.2047 0.6186 0.5925
0.1023 0.4039 0.9390
0.2047 0.5861 0.0742
0.1075 0.3924 0.3875
0.0723 0.1915 0.2485
0.3814 0.7953 0.7409
0.4139 0.7953 0.2591
0.1192 0.1915 0.7515
0.2849 0.3924 0.6125
0.3814 0.5861 0.9258
0.3016 0.4039 0.0610
0.4139 0.6186 0.4075
0.1915 0.1192 0.5818
0.1915 0.0723 0.0848
0.5961 0.8977 0.3944
0.6076 0.8925 0.9458
0.6076 0.7151 0.7208
0.4039 0.3016 0.2723
0.5961 0.6984 0.2723
0.3924 0.2849 0.7208
0.3924 0.1075 0.9458
0.4039 0.1023 0.3944
0.8085 0.9277 0.0848
0.8085 0.8808 0.5818
0.5861 0.3814 0.4075
0.6984 0.5961 0.0610
0.6186 0.4139 0.9258
0.7151 0.6076 0.6125
0.8808 0.8085 0.7515
0.5861 0.2047 0.2591
0.6186 0.2047 0.7409
0.9277 0.8085 0.2485
0.8925 0.6076 0.3875
0.7953 0.4139 0.0742
0.8977 0.5961 0.9390
0.7953 0.3814 0.5925
0.6984 0.1023 0.6056
0.7151 0.1075 0.0542
0.8925 0.2849 0.2792
0.8977 0.3016 0.7277
0.8808 0.0723 0.9152
0.9277 0.1192 0.4182
```

crystal system = hexagonal
calculated total energy = -6.1912 eV per atom
E_form = -2.125 eV per atom
energy above the most stable polymorph in this dataset = 72 meV per atom
space group = P6_422 (181)

Entry 4:

**Reply:**
energy above the most stable polymorph in this dataset = 72 meV per atom